Wanted >
Now filter the listing underneath: keep the lines with the word "on".

Excerpt >
Starting from a PBE-relaxed structure, the XRD peak list of PuHf4Rh5 was simulated for Cu Kα.
Neutral-atom scattering factors, no anomalous dispersion.

Top 10 peaks for 2θ from 10° to 80°, low angle first:
26.35°, d 3.383, I 7, (0 0 5)
27.24°, d 3.274, I 10, (1 0 0)
38.26°, d 2.353, I 100, (1 0 5)
38.90°, d 2.315, I 54, (1 1 0)
47.60°, d 1.910, I 6, (1 1 5)
54.23°, d 1.691, I 6, (0 0 10)
56.19°, d 1.637, I 19, (2 0 0)
61.73°, d 1.503, I 5, (1 0 10)
68.73°, d 1.366, I 13, (1 1 10)
70.02°, d 1.344, I 34, (2 1 5)

a b c (Å): 3.274 3.274 16.913
angles (deg): 90.00 90.00 90.00
Space group P4/mmm (No. 123)
Symmetry-distinct sites (fractional):
Pu  0.000  0.000  0.000 [1 per cell]
Hf  0.000  0.000  0.209 [2 per cell]
Hf  0.000  0.000  0.404 [2 per cell]
Rh  0.500  0.500  0.125 [2 per cell]
Rh  0.500  0.500  0.310 [2 per cell]
Rh  0.500  0.500  0.500 [1 per cell]

=====

Calculated X-ray powder pattern
Compound: MgCrS2
Radiation: λ = 1.5418 Å (Cu Kα)
Structure: a cell relaxed with GGA-PBE
Kinematic intensities with the Lorentz-polarization factor, no thermal factor.

Cell and atoms:
```
8
Lattice="6.7604 0.0000 0.0000 0.0000 5.8917 0.0000 -3.0997 0.0000 6.8132" Properties=species:S:1:pos:R:3 pbc="T T T"
Mg 0.0000 0.0000 0.0000
Mg 3.3802 2.9459 0.0000
Cr 0.0000 2.9459 0.0000
Cr 3.3802 0.0000 0.0000
S -1.4850 2.9459 5.2800
S 1.7655 0.0000 1.5333
S 1.8952 0.0000 5.2800
S 5.1457 2.9459 1.5333
```

Principal peaks in the range 2θ = 5–70°, in order of rising 2θ:
| d [Å] | Position (°2θ) | I/Imax |
| --- | --- | --- |
| 6.813 | 12.99 | 100 |
| 4.256 | 20.87 | 43 |
| 3.219 | 27.71 | 28 |
| 2.946 | 30.34 | 32 |
| 2.704 | 33.13 | 19 |
| 1.883 | 48.34 | 20 |

=====

(1)
TeC6Cl2F14: theoretical X-ray powder pattern (Cu Kα), based on a crystal structure in the Materials Project, relaxed with GGA-PBE.
Kinematic intensities with the Lorentz-polarization factor, no thermal factor.

Atomic structure:
Cell: 19.862 9.407 8.388 Å, 90.00 106.07 90.00°
Space group C2/c (No. 15)
Unique sites:
Te 0.000 0.139 0.250 [4 per cell]
C 0.079 0.312 0.215 [8 per cell]
C 0.145 0.237 0.191 [8 per cell]
C 0.212 0.333 0.216 [8 per cell]
Cl 0.057 0.160 0.554 [8 per cell]
F 0.049 0.393 0.082 [8 per cell]
F 0.096 0.396 0.351 [8 per cell]
F 0.129 0.183 0.034 [8 per cell]
F 0.162 0.127 0.302 [8 per cell]
F 0.197 0.446 0.113 [8 per cell]
F 0.235 0.380 0.374 [8 per cell]
F 0.237 0.244 0.819 [8 per cell]

Top 10 peaks for 2θ = 5–70°, by intensity:
- 2θ 16.11, rel. 100
- 2θ 14.24, rel. 86
- 2θ 33.26, rel. 67
- 2θ 9.27, rel. 30
- 2θ 22.56, rel. 28
- 2θ 10.48, rel. 27
- 2θ 24.76, rel. 24
- 2θ 38.60, rel. 22
- 2θ 16.82, rel. 22
- 2θ 28.85, rel. 21



(2)
Fe3H6C6N6Cl8: theoretical X-ray powder pattern (Cu Kα), based on a crystal structure in the Materials Project, relaxed with GGA-PBE.
Kinematic intensities with the Lorentz-polarization factor, no thermal factor.

Atomic structure:
Cell: 9.9549 9.9549 6.1526 Å, 90.00 90.00 120.00°
Space group P-3 (No. 147)
Unique sites:
Fe 0.0000 0.0000 0.0000 [1 per cell]
Fe 0.3333 0.6667 0.1411 [2 per cell]
H 0.0860 0.3904 0.6503 [6 per cell]
C 0.0630 0.2854 0.7351 [6 per cell]
N 0.0393 0.1743 0.8272 [6 per cell]
Cl 0.1072 0.4799 0.2573 [6 per cell]
Cl 0.3333 0.6667 0.7814 [2 per cell]

Top 10 peaks for 2θ = 5–70°, by intensity:
- 2θ 17.82, rel. 100
- 2θ 31.07, rel. 90
- 2θ 22.98, rel. 64
- 2θ 17.71, rel. 45
- 2θ 48.38, rel. 42
- 2θ 40.32, rel. 36
- 2θ 27.37, rel. 34
- 2θ 14.40, rel. 32
- 2θ 52.74, rel. 32
- 2θ 29.03, rel. 28

=====

No. 1
Computed XRD peak list of Ag6Ge2O7 for Cu Kα, 1.54184 Å, from a GGA-PBE-relaxed structure.
Lines closer than 0.1° are merged.

The 8 most intense peaks (10 to 80 degrees two-theta), in order of rising 2θ:
- 28.42°, I 93
- 32.39°, I 1000
- 32.78°, I 64
- 35.15°, I 132
- 37.92°, I 56
- 48.52°, I 91
- 57.82°, I 85
- 61.34°, I 52

```
Ag6Ge2O7
1.0
5.534 0.000 0.000
0.000 10.211 0.000
-0.060 0.000 16.337
Ag Ge O
24 8 28
direct
0.173 0.000 0.428 Ag
0.257 0.809 0.589 Ag
0.276 0.514 0.175 Ag
0.277 0.056 0.205 Ag

Solution >
TeC6Cl2F14: theoretical X-ray powder pattern (Cu Kα), based on a crystal structure in the Materials Project, relaxed with GGA-PBE.
Fe3H6C6N6Cl8: theoretical X-ray powder pattern (Cu Kα), based on a crystal structure in the Materials Project, relaxed with GGA-PBE.